-- Input --
-- begin --
7
Lattice="-1.3706 -5.5929 -0.5335 5.2376 -1.0733 -2.2044 0.8157 1.9731 8.5628" Properties=species:S:1:pos:R:3 comment="Tl4Sn2Hg GGA-PBE optimized geometry" magnetic_moment_mub_per_fu=0.000 dos_ef_per_ev_atom=0.49 de_polymorph_mev_per_atom=221 formation_energy_ev_per_fu=1.72 crystal_system=tetragonal sg="I4/mmm (139)" pbc="T T T"
Sn 2.4822 -3.6045 0.0670
Hg 0.0000 0.0000 0.0000
Tl 2.6188 -0.5366 -1.1022
Tl 1.0945 -0.5414 2.8639
Tl -0.6853 -2.7964 -0.2667
Sn 2.2004 -1.0885 5.7579
Tl 3.5882 -4.1516 2.9609

----------

Li2Mn2FeO6 | PBE+U | relaxed Values from VASP.

**Calculated volume**: 341.74 Å³ per cell
**SG**: P-1, No. 2
**Relative energy among the computed polymorphs**: 0.000 eV/f.u.
**Total magnetization**: 12.0 μB per formula unit
**Crystal system**: triclinic

The structure in Quantum ESPRESSO input format:
```
&SYSTEM
  ibrav = 0, nat = 33, ntyp = 4
/
ATOMIC_SPECIES
Li 6.94 Li.upf
Mn 54.94 Mn.upf
Fe 55.84 Fe.upf
O 16.00 O.upf
CELL_PARAMETERS angstrom
6.621 -0.006 0.009
0.860 6.608 0.013
2.841 2.499 7.818
ATOMIC_POSITIONS crystal
Li 0.837 0.495 0.678
Li 0.163 0.505 0.322
Li 0.504 0.158 0.328
Li 0.496 0.842 0.672
Li 0.831 0.162 0.003
Li 0.169 0.838 0.997
Mn 0.504 0.172 0.831
Mn 0.837 0.164 0.497
Mn 0.164 0.162 0.161
Mn 0.163 0.836 0.503
Mn 0.496 0.828 0.169
Mn 0.836 0.838 0.839
Fe 0.500 0.500 0.500
Fe 0.828 0.495 0.166
Fe 0.172 0.505 0.834
O 0.146 0.820 0.772
-- stop --
-- Work order --
Please reproduce the lines further above up to the one that holds "Quantum ESPRESSO", that line included.
-- Solution --
7
Lattice="-1.3706 -5.5929 -0.5335 5.2376 -1.0733 -2.2044 0.8157 1.9731 8.5628" Properties=species:S:1:pos:R:3 comment="Tl4Sn2Hg GGA-PBE optimized geometry" magnetic_moment_mub_per_fu=0.000 dos_ef_per_ev_atom=0.49 de_polymorph_mev_per_atom=221 formation_energy_ev_per_fu=1.72 crystal_system=tetragonal sg="I4/mmm (139)" pbc="T T T"
Sn 2.4822 -3.6045 0.0670
Hg 0.0000 0.0000 0.0000
Tl 2.6188 -0.5366 -1.1022
Tl 1.0945 -0.5414 2.8639
Tl -0.6853 -2.7964 -0.2667
Sn 2.2004 -1.0885 5.7579
Tl 3.5882 -4.1516 2.9609

----------

Li2Mn2FeO6 | PBE+U | relaxed Values from VASP.

**Calculated volume**: 341.74 Å³ per cell
**SG**: P-1, No. 2
**Relative energy among the computed polymorphs**: 0.000 eV/f.u.
**Total magnetization**: 12.0 μB per formula unit
**Crystal system**: triclinic

The structure in Quantum ESPRESSO input format: